**Wanted:**
Next, quote the listing below without altering anything.

**Input:**
/*
No. 1
Below is a geometry-optimized ZnTe2Rh structure, with properties calculated at the PBE-GGA level.

* raw formation energy: 0.153 eV per atom
* space group: No. 71

abc: 5.357 5.357 5.357
angles: 138.77 109.77 84.82
Positions (direct):
1 Rh 0.250 0.750 0.500
2 Te 0.013 0.013 0.000
3 Te 0.487 0.487 0.000
4 Zn 0.750 0.250 0.500

---

No. 2
Below is a geometry-optimized LaOs2Pb structure, with properties calculated at the PBE-GGA level.

* formation energy: 0.96 eV per atom
* space group: No. 166

abc: 8.797 8.797 8.797
angles: 22.30 22.30 22.30
Positions (direct):
1 La 0.750 0.750 0.750
2 Os 0.996 0.996 0.996
3 Os 0.504 0.504 0.504
4 Pb 0.250 0.250 0.250

---

No. 3
Below is a geometry-optimized Ho2AlPb structure, with properties calculated at the PBE-GGA level.

* formation energy: -0.27 eV per atom
* space group: No. 166

abc: 3.584 3.584 9.961
angles: 79.64 79.64 60.00
Positions (direct):
1 Pb 0.500 0.500 0.500
2 Ho 0.258 0.258 0.226
3 Ho 0.742 0.742 0.774
4 Al 0.000 0.000 0.000

---

No. 4
Below is a geometry-optimized Cs2SrCa structure, with properties calculated at the PBE-GGA level.

* formation energy: 0.38 eV per atom
* distance to the lowest polymorph of the same formula: 92 meV/atom
* space group: No. 122

abc: 12.027 12.027 9.504
angles: 50.75 50.75 90.00
Positions (direct):
1 Cs 0.614 0.125 0.250
2 Cs 0.136 0.625 0.250
3 Cs 0.375 0.386 0.750
4 Cs 0.875 0.864 0.750
5 Sr 0.000 0.000 0.000
6 Sr 0.750 0.250 0.500
7 Ca 0.500 0.500 0.000
8 Ca 0.250 0.750 0.500

---

No. 5
Below is a geometry-optimized Cs3Np2AuSe6 structure, with properties calculated at the PBE-GGA level.

* raw formation energy: -0.992 eV per atom
* space group: No. 12

abc: 7.726 7.726 8.473
angles: 96.56 96.56 124.64
Positions (direct):
1 Cs 0.146 0.854 0.500
2 Cs 0.854 0.146 0.500
3 Cs 0.500 0.500 0.500
4 Np 0.332 0.668 0.000
5 Np 0.668 0.332 0.000
6 Au 0.000 0.000 0.000
7 Se 0.944 0.551 0.798
8 Se 0.736 0.736 0.154
9 Se 0.056 0.449 0.202
10 Se 0.551 0.944 0.798
11 Se 0.264 0.264 0.846
12 Se 0.449 0.056 0.202

---

No. 6
Below is a geometry-optimized Zn2TcAs2 structure, with properties calculated at the PBE-GGA level.

* formation energy: 0.16 eV per atom
* space group: No. 127

abc: 6.396 6.396 4.155
angles: 90.00 90.00 90.00
Positions (direct):
1 Zn 0.178 0.678 0.500
2 Zn 0.678 0.822 0.500
3 Zn 0.822 0.322 0.500
4 Zn 0.322 0.178 0.500
5 As 0.361 0.861 0.000
6 As 0.861 0.639 0.000
7 As 0.639 0.139 0.000
8 As 0.139 0.361 0.000
9 Tc 0.000 0.000 0.000
10 Tc 0.500 0.500 0.000

---

No. 7
Below is a geometry-optimized Na3Sb structure, with properties calculated at the PBE-GGA level.

* raw formation energy: -0.227 eV per atom
* space group: No. 25

abc: 5.427 3.623 5.905
angles: 90.00 90.00 90.00
Positions (direct):
1 Sb 0.500 0.000 0.668
2 Na 0.000 0.000 0.975
3 Na 0.000 0.500 0.522
4 Na 0.500 0.500 0.169

---

No. 8
Below is a geometry-optimized NpZnGe2O8 structure, with properties calculated at the PBE-GGA level.

* raw formation energy: -1.754 eV per atom
* space group: No. 119

abc: 5.785 5.785 5.785
angles: 108.14 108.14 112.17
Positions (direct):
1 Np 0.250 0.750 0.500
2 Zn 0.000 0.000 0.000
3 Ge 0.750 0.250 0.500
4 Ge 0.500 0.500 0.000
5 O 0.368 0.058 0.310
6 O 0.322 0.518 0.196
7 O 0.322 0.126 0.804
8 O 0.747 0.058 0.690
9 O 0.874 0.678 0.196
10 O 0.942 0.253 0.310
11 O 0.942 0.632 0.690
12 O 0.482 0.678 0.804

---

No. 9
Below is a geometry-optimized Sr2HfAg structure, with properties calculated at the PBE-GGA level.

* formation energy: 0.59 eV per atom
* distance to the lowest polymorph of the same formula: 0 meV/atom
* space group: No. 225

abc: 5.652 5.652 5.652
angles: 60.00 60.00 60.00
Positions (direct):
1 Sr 0.250 0.250 0.250
2 Sr 0.750 0.750 0.750
3 Hf 0.500 0.500 0.500
4 Ag 0.000 0.000 0.000

---

No. 10
Below is a geometry-optimized U2FeSi3 structure, with properties calculated at the PBE-GGA level.

* distance to the lowest polymorph of the same formula: 49 meV/atom
* raw formation energy: -0.336 eV per atom
*/

**Completed:**
No. 1
Below is a geometry-optimized ZnTe2Rh structure, with properties calculated at the PBE-GGA level.

* raw formation energy: 0.153 eV per atom
* space group: No. 71

abc: 5.357 5.357 5.357
angles: 138.77 109.77 84.82
Positions (direct):
1 Rh 0.250 0.750 0.500
2 Te 0.013 0.013 0.000
3 Te 0.487 0.487 0.000
4 Zn 0.750 0.250 0.500

---

No. 2
Below is a geometry-optimized LaOs2Pb structure, with properties calculated at the PBE-GGA level.

* formation energy: 0.96 eV per atom
* space group: No. 166

abc: 8.797 8.797 8.797
angles: 22.30 22.30 22.30
Positions (direct):
1 La 0.750 0.750 0.750
2 Os 0.996 0.996 0.996
3 Os 0.504 0.504 0.504
4 Pb 0.250 0.250 0.250

---

No. 3
Below is a geometry-optimized Ho2AlPb structure, with properties calculated at the PBE-GGA level.

* formation energy: -0.27 eV per atom
* space group: No. 166

abc: 3.584 3.584 9.961
angles: 79.64 79.64 60.00
Positions (direct):
1 Pb 0.500 0.500 0.500
2 Ho 0.258 0.258 0.226
3 Ho 0.742 0.742 0.774
4 Al 0.000 0.000 0.000

---

No. 4
Below is a geometry-optimized Cs2SrCa structure, with properties calculated at the PBE-GGA level.

* formation energy: 0.38 eV per atom
* distance to the lowest polymorph of the same formula: 92 meV/atom
* space group: No. 122

abc: 12.027 12.027 9.504
angles: 50.75 50.75 90.00
Positions (direct):
1 Cs 0.614 0.125 0.250
2 Cs 0.136 0.625 0.250
3 Cs 0.375 0.386 0.750
4 Cs 0.875 0.864 0.750
5 Sr 0.000 0.000 0.000
6 Sr 0.750 0.250 0.500
7 Ca 0.500 0.500 0.000
8 Ca 0.250 0.750 0.500

---

No. 5
Below is a geometry-optimized Cs3Np2AuSe6 structure, with properties calculated at the PBE-GGA level.

* raw formation energy: -0.992 eV per atom
* space group: No. 12

abc: 7.726 7.726 8.473
angles: 96.56 96.56 124.64
Positions (direct):
1 Cs 0.146 0.854 0.500
2 Cs 0.854 0.146 0.500
3 Cs 0.500 0.500 0.500
4 Np 0.332 0.668 0.000
5 Np 0.668 0.332 0.000
6 Au 0.000 0.000 0.000
7 Se 0.944 0.551 0.798
8 Se 0.736 0.736 0.154
9 Se 0.056 0.449 0.202
10 Se 0.551 0.944 0.798
11 Se 0.264 0.264 0.846
12 Se 0.449 0.056 0.202

---

No. 6
Below is a geometry-optimized Zn2TcAs2 structure, with properties calculated at the PBE-GGA level.

* formation energy: 0.16 eV per atom
* space group: No. 127

abc: 6.396 6.396 4.155
angles: 90.00 90.00 90.00
Positions (direct):
1 Zn 0.178 0.678 0.500
2 Zn 0.678 0.822 0.500
3 Zn 0.822 0.322 0.500
4 Zn 0.322 0.178 0.500
5 As 0.361 0.861 0.000
6 As 0.861 0.639 0.000
7 As 0.639 0.139 0.000
8 As 0.139 0.361 0.000
9 Tc 0.000 0.000 0.000
10 Tc 0.500 0.500 0.000

---

No. 7
Below is a geometry-optimized Na3Sb structure, with properties calculated at the PBE-GGA level.

* raw formation energy: -0.227 eV per atom
* space group: No. 25

abc: 5.427 3.623 5.905
angles: 90.00 90.00 90.00
Positions (direct):
1 Sb 0.500 0.000 0.668
2 Na 0.000 0.000 0.975
3 Na 0.000 0.500 0.522
4 Na 0.500 0.500 0.169

---

No. 8
Below is a geometry-optimized NpZnGe2O8 structure, with properties calculated at the PBE-GGA level.

* raw formation energy: -1.754 eV per atom
* space group: No. 119

abc: 5.785 5.785 5.785
angles: 108.14 108.14 112.17
Positions (direct):
1 Np 0.250 0.750 0.500
2 Zn 0.000 0.000 0.000
3 Ge 0.750 0.250 0.500
4 Ge 0.500 0.500 0.000
5 O 0.368 0.058 0.310
6 O 0.322 0.518 0.196
7 O 0.322 0.126 0.804
8 O 0.747 0.058 0.690
9 O 0.874 0.678 0.196
10 O 0.942 0.253 0.310
11 O 0.942 0.632 0.690
12 O 0.482 0.678 0.804

---

No. 9
Below is a geometry-optimized Sr2HfAg structure, with properties calculated at the PBE-GGA level.

* formation energy: 0.59 eV per atom
* distance to the lowest polymorph of the same formula: 0 meV/atom
* space group: No. 225

abc: 5.652 5.652 5.652
angles: 60.00 60.00 60.00
Positions (direct):
1 Sr 0.250 0.250 0.250
2 Sr 0.750 0.750 0.750
3 Hf 0.500 0.500 0.500
4 Ag 0.000 0.000 0.000

---

No. 10
Below is a geometry-optimized U2FeSi3 structure, with properties calculated at the PBE-GGA level.

* distance to the lowest polymorph of the same formula: 49 meV/atom
* raw formation energy: -0.336 eV per atom